A/N: 7 WORD CHALLENGE from BunniesRcute. Requested on 12. 26.14. Note that I am terribly ashamed of the nearly three week period it had taken me to post. T-T

Characters: Ryoma, Atobe, Fuji, Sanada
Genre: Hurt/Comfort and Humor (...I...I put trace amounts of parody type hurt in Ryoma's part...T-T...I'm...I'm ashamed.)Words:Tango,Forest,Grades,Pencils,Computer,Bed,Irises

I know you put hurt/comfort...It messed up my whole routine. But in all seriousness, I loved this challenge that was actually a challenge. ;D

Atobe's booth aimed to be purple, sparkly, and attractive, as noted of the purple and sparkly balloons with Atobe's face plastered on.

He had designed them himself, as well as the life-sized figure of the great ore-sama that stood beside the booth.

He expected great business.

It was not what he was expecting.

He did a quick scan of his surroundings to ensure he was not being recorded or filmed, or anything else, for that matter.

And then, slowly, Atobe turned to Ryoma, who stood there, the beginnings of a very, very small tear forming in the corners of his eye-

Atobe stared, wide-eyed, as The Echizen Ryoma burst into tears right before his eyes.

Atobe swallowed hard.

I will not feel sympathy for the enemy-I will not feel sympathy for the enemy-

He chanted loudly in his head.

Echizen managed the barest sniffle.

Atobe let out an internal scream of defeat as his willpower crumbled into itty, bitty, pieces.

"Um." Atobe began. "How can I help you?"

The tear ducts flowing, Ryoma said, "She doesn't love me anymore."

Atobe let out a dramatic gasp, flying backwards as little ruptures burst in his brain.

Atobe hadn't expected so much stress on his part.

Especially the twat to get a girlfriend before himself-!

The blasphemy!

"I want to get her back-" Ryoma continued, sniffling, "and I don't know how. I even looked on the computer."

Well, Atobe had put 'Relationship Advice' on the purple and sparkly sign hanging on the booth.

And he was not, if a little, curious about this.

Not that he was jealous or whatever.

Atobe patted Ryoma on the head. "The great and majestical ore-sama shall help."

Ryoma-almost-smiled at him. He wiped a bit at his eyes.

"What has you relationship been with her before this incident?" Atobe paused. "To, you know, get more understanding of this so I can offer better advice, and," He continued, "I'm totally not jealous or anything, psh."

He then applauded himself for being subtle.

Ryoma's misty eyes drifted away, as if looking back on memories.

"It started two years ago-"

Atobe silently shrieked.

"She was shy a first, and I had a hard time approaching her...but now we're very close-"

Atobe listened intently, discreetly taking notes.

"-Sometimes she would catch the tennis balls when I play-"

Atobe frowned. What kind of uncivilized behavior was this?!

"At night, I let her sit in my lap-"

Atobe blinked a few times before his mind broke down.

"Hold on, "Atobe interrupted. "I didn't quite catch that."

Ryoma began again, "At night, I let her sit in my lap-"

Dammit, his ears were malfunctioning again, Atobe thought as he cut in again:

"Say that again?"

"At night, I let her si-"

"WAIT." Atobe said loudly. "How far have you taken your relationship?"

Ryoma looked very sad. "What do you mean?"

• These data records were left in the page by mistake:
-- begin --
Molecular formula: C3H4OS
Method: DFT, ωB97M-V/def2-TZVPD

Output
* orbital gap: 7.9 eV
* molar mass: 88.13 g/mol
* highest occupied orbital energy: -9.59 eV
* E_LUMO: -1.72 eV

Structure (ORCA input):
```
! wB97M-V def2-TZVPD RIJCOSX def2/J DEFGRID3
* xyz 0 1
C -0.13193 1.71115 -0.02835
C 0.09006 0.25972 -0.18690
C -0.96307 -0.72941 0.00910
H -1.41408 1.79657 -0.41904
H -0.22900 2.02713 1.18206
H 0.79327 2.17220 -0.38685
H -0.23957 -1.67640 -0.20728
O -2.17131 -0.53661 0.05295
S 1.53059 -0.46721 0.04028
*
```
-- stop --

Atobe coughed. "Like, you know."


Atobe mentally bashed himself. Ore-sama shouldn't be so uncoordinated in this type of talk!

"A KISS." He whispered loudly.

"Well..." Ryoma trailed off. "I kiss her every night in bed..."

Atobe nodded slowly as if his brain hadn't exploded inside his skull at that very moment.

"I see. Repeat that?"

Ryoma frowned at Atobe in a way that said why-aren't-you-following-these-perfectly-normal-sentences?

"I kiss her every night in bed."

Atobe swore he could feel his brain cells shrivel up.

"Ah, right." He nodded once more. "Now, then, do you want revenge on her?"

The sniffles were back. "No...Just help me get her back. Please."

Well, you don't get to hear the brat say that particular word often, Atobe had to admit.

"Of course. Has she been seen with someone else?"

"Someone..." Ryoma was confused, but then, "Oh...it's my teammate Kaidou."

He looked forlornly at the ground. "That complicates things."

Atobe was baffled. That boy was, frankly, creepy. But if the brat loved her so...

"I can only say, "Atobe began, relying on his three years worth of fan girl wooing experience, "be confident. Show off your skills, extra points if you can do the Tango." Atobe looked Ryoma in the eye. "Put on purple blouses. Occasionally flip your hair." He put his hand on the boy's shoulder.

And as a bonus tip, call yourself ore-sama and always, always, wear your shirt a few button's open."

Ryoma wiped away his tears,

"I never thought I'd say this, but-thank you."

Atobe put on his usual smirk. "My advice is gold. Follow it and achieve new heights." He looked smug. "And just wondering...what does she look like?"

Ryoma's eyes glimmered slightly. "Her name is Karupin, she's incredibly cute, and the most elegant when she walks."He stooped down.

"About this tall, "He explained as his hand lowered to a height just slightly above his ankle.

Atobe stared at the hand, just a couple of inches off the ground.

"I'm leaving."Ryoma stood up. "You're not half bad-" He smiled slightly at Atobe. "Monkey king."

Even as Ryoma sauntered off, Atobe still stared at the one spot where Ryoma's hand was.




I think I'm missing something here.

While still pondering why Ryoma's girlfriend was a mere ten inches tall, Atobe was suddenly seeing a large hand slap on the table in front of him.

Slightly angered that a peasant do such a disrespectful move to the almighty ore-sama, he looked up, ready to give a full on, ore-sama glare.


A living rock with a talent for facial muscle stillness that rivaled Tezuka's.

Although upon closer inspection-

Sanada's facial muscles were tightened ever so slightly-

Possibly, possibly, his expression of worry-

Atobe was particularly pleased at his prowess in the inspecting of Sanada's face.

"Yes?" Atobe asked to a possibly worried Sanada.

"You are giving out advice?"

"Relationship, school, and all other of your personal dilemmas!" Atobe's advertised in reply. "Why? Do you seek new heights like my last visitor?"

Sanada glanced around quickly before leaning toward Atobe in a secretive manner.



"His birthday is coming up."

"Ah." Atobe realized, "Are you deciding on a gift?"

Sanada grunt-nodded.

"Describe him a bit." Atobe said, chin resting on his palm.

The corners of Sanada's lips jerked upward, almost resembling a smile.


Atobe wondered if his eyes were now malfunctioning.

"My captain is smart, elegant, and very aesthetic," Sanada began, "Caring and loving, but with a strong sense of justice that allows him to punish accordingly, willing to go to extreme lengths to make sure the unworthy are put in their place-"

Atobe made a quick memo to never get on this Yukimura's bad side.

"-He even had special rooms built for these punishing sessions he held regularly-"

Atobe wondered if that had anything to do with the screaming people he sometimes saw running away from the general direction of RikkaiDai.

"-Of course he is better than that Echizen-" Sanada was saying, as his speech made a sudden swerve into an Echizen rant.

"-SUCH AUDACITY!" Sanada finished, a vein practically bulging out of his forehead.

Atobe was very glad that the following Tarundoru was aimed at a nearby tree.

He did not want his booth (or his face) to be blasted into bits, thank you very much.

"What do you think?" Sanada asked to Atobe, who nearly cowered before realizing it was just a question.

"I mean," Atobe started slowly, carefully weighing his options so that he could preserve his tender life. As noted, Sanada practically worshipped Yukimura.

Falling back once more on his received fan girl gifts experiences, "I think chocolates would be nice? Maybe flowers? A kiss? An Atobe fan club banner?"

Atobe took great pride in those banners.

"No." Sanada responded firmly. "Something more intimate."

Atobe was flabbergasted. Why, if nothing else, Atobe fan club banners are extremely intimate!

Also, the wording of that response left something to be questioned.

How troublesome. "A walk in the forest? Or a hand knitted scarf?"

"I have already done those options."

"Look, if all else fails," Atobe said, sighing, "an Atobe fan club banner is the go-to. One hundred percent cotton, it comes with a rare edition of Ore-sama's posing beauty, and with ten different color choices," Atobe counted off his fingers.

"Red, purple, dark purple, light purple, lavender, dark lavender, light lavender, violet, light violet, and dark violet."

Sanada was intrigued. "Then, I shall take a light violet color."

"Only this once, it will be for free," Atobe warned, handing over a banner he had kept hanging inside his booth. "Be honored, peasant. I commend you for choosing such a rare and wonderful gift."

Sanada looked at the printed picture of Atobe in his bathing suit, who was holding a rose and smelling it. Trusting Atobe's advice, Sanada folded it neatly, and leaving happily.


A closed eyed Fuji whispered quietly from beside Atobe.

Atobe screamed a high, shrill sound of terror as he swung around wildly.

Fuji stood there, silently smiling.

"Atobe." Fuji spoke softly, smile widening.

Atobe gathered his wits and spoke with the dignity of a king.

"And you are?"

"Fuji." He didn't seem bothered at all by the imposing tone.

"Okay." Atobe finished rather awkwardly.

A few seconds of heart throbbing silence and then-

"I need some advice." Fuji responded.

Atobe checked all corners for escape exits just in case Fuji forced him to drink the famously deadly Inui Juice. Ore-sama was a vigilant being.


"This issue has been bothering me for some time now..." Fuji looked truly saddened. "It has become increasingly hard to find things that make me happy..."

Atobe became extremely wary, eyes on one of the escape routes he had planned out.

"What sorts of things make you happy?" He asked cautiously.

"Oh, you know..." Fuji waved it off casually (Literally waving a bloodied knife), smiling ever so wider. "So will you help?"

Atobe sighed. He could feel his hair graying already.

(Despite what everyone says, his hair was not grey, it was a luscious silver color, dammit!)

"Could you be a little more specific?"

Atobe made sure to phrase the sentence as a question, not a command, so as to not end up with a large rip in his precious face, courtesy of Fuji and the rather bloody knife he was waving around oh-so-casually.

"How would you...per say...make someone scream in pain, while inflicting unnoticeable wounds upon them?"

"I have no experience in that sort of...activity."

No, Atobe would never admit he was slightly terrified in that moment. After all, Atobe Keigo just isn't supposed to be terrified.

"Then," Fuji continued, seeming even more encouraged at Atobe's response, "how to make someone scream."

Yes, Atobe had say he had experience in that.

"Well, you peasa-, Fuji," Atobe amended, "A quick snap of the fingers should do it."

"Oh?" Fuji was confused, was this some new torture technique he hadn't heard about?

"Yes, yes- smirk a little," Atobe instructed Fuji as he tried to follow the instructions Atobe was saying, "Raise your arm higher-no, higher-ah, and tilt your hips-snap-yes, yes!"

Fuji was astonished. Such simple moves could produce the glorified sound of wailing?

"Does this...technique...produce blood?"

Atobe pondered for a moment before responding, "It does about ninety percent of the time. The key word is-"

Fuji's irises widened a little in his eye sockets. His eyes were closed, anyways.

"-be awed at my prowess."

"That's it?"

"Add a little flip of the hair, if you wish to achieve maximum results."

"...like this?"

Atobe had to admit, this Fuji had quite the natural talent for it.




"Y-yes, Tezuka-buchou?"

"How is Echizen?"

"He's doing fine! In both his grades and extracurricular-"

"...have you seen him today?"

"No, wh-T-Tezuka-buchou..."


"Is that Echizen?"


"W-why is he wearing such a..."


"It's purple. I never thought Echizen-san would wear purple."

"...Or leave his chest exposed."

"Or do the tango while flipping his hair."



"What is this, Genchiro?"

"An Atobe fan club banner."

"Would you care to explain?"

"It is one hundred percent cotton and comes with a rare edition of Atobe's posing beauty, and with ten different color choices, although I pi-"



"...Fuji. What are you up to?"

"You're speaking a lot today Tezuka."

"...Don't avoid the question."

"You will see. We're supposed to be practicing, no?"

"I have been waiting for you to serve."

"I'm waiting for enough spectators."



"Be awed."

*Hair flip*

"At my prowess."


"Oh my, what wonderful sights of blood."


"I have to say; it works much better than the pencil stabbing method I used in class last week-"


"- I must say, the blood that exits from the nose is surprisingl-"


"Hai, hai..."

A/N: I wonder if anyone will notice Karupin is actually a guy...

And Atobe's Advice Booth received visitors daily, as Atobe continued to spread his wisdom and knowledge across the lands...